DISCLAIMER: I do not own these characters nor do I profit from them, Rumiko Takahashi does.
Warning: Sexual theme, so sexual terminology is used in this story.

A/N: This was submitted to 50 Ways to Torture a Taiyoukai and the Gutter Marble challenges when I was a member of a Sess/Kag site. It won r0o's Lemon Without a Lemon portion of that challenge. She's just too funny!


He found himself stalking her. Nothing to be ashamed of, he was the ultimate predator after all, why shouldn't he stalk? He had questions about her and he would have them answered.

He saw her jump into the well two days earlier, and felt the magic take hold. While he wasn't completely shocked by this, he was curious about where she went. She always seemed to have objects and food unheard of in this time period, and he suspected the well was the source. So he watched and waited in the surrounding forest, knowing she would reappear sooner or later.

His patience was rewarded when he felt the atmosphere in the clearing swell with power. As it ebbed away, he could feel the miko's presence left behind.

Before long, she pulled herself up and over the rim of the well, plopping her yellow pack onto the ground. He continued to watch, interested to see if the magic entailed anything more.

He could see she had something sticking out of her mouth, what it was though, he could not tell. His youkai senses told him it was crimson in color, very cold… frozen in fact, and smelled like cherries.

Kagome was relieved to finally emerge from the well. Just in time too… the flavored Popsicle she held between her lips was freezing them almost to the point of pain.

She sat on the edge of the wooden structure and pulled the treat out carefully, from the mid-point to the tip. Running her tongue over her lips languidly, both to warm them and to remove the residual syrup; she prepared to finish consuming it before it melted in the summer heat.

Tilting her head, she opened her mouth slightly and began stroking the Popsicle with her oh-so-agile oral appendage, from bottom to top, in long swipes.

Sesshoumaru stood riveted to the spot; he could not believe what he was seeing. He was too engrossed mentally to notice his body was also reacting to the 'show' currently on display. The young priestess was completely engulfing the brightly-colored confection into her warm recess, practically deep-throating it, before wrapping her crimson-stained lips around the base and pulling it ever-so-slowly back out.

He felt his thick, heavy cock twitch hard, smacking him in the belly, demanding his attention. Looking down, he was amazed at his apparent lack of control over his own libido; he tried to refuse acknowledgment of his intense arousal.

He was a Daiyoukai, the supreme warrior, renown for his level of control over his emotions! He would leave her to this activity and question her about the well later. He refused to harbor the fantasy of receiving pleasure from a mouth; most certainly not one brought on by the innocent act of a human wench!

== What comes next are records of crystals, not part of the page ==
********
(i)
Below is an optimized crystal structure of NaCoPO4, with properties calculated at the GGA+U level.

Lattice parameters (Å, degrees): 10.263 10.263 24.094 90.00 90.00 120.00
Fractional positions:
Na (0.968, 0.962, 0.589)
Na (0.505, 0.064, 0.748)
Na (0.047, 0.514, 0.254)
Na (0.533, 0.047, 0.087)
Na (0.514, 0.467, 0.420)
Na (0.510, 0.547, 0.254)
Na (0.490, 0.453, 0.754)
Na (0.486, 0.533, 0.920)
Na (0.064, 0.559, 0.915)
Na (0.962, 0.994, 0.755)
Na (0.994, 0.032, 0.922)
Na (0.441, 0.505, 0.581)
Na (0.559, 0.495, 0.081)
Na (0.032, 0.038, 0.089)
Na (0.936, 0.441, 0.415)
Na (0.495, 0.936, 0.248)
Na (0.467, 0.953, 0.587)
Na (0.453, 0.963, 0.921)
Na (0.006, 0.968, 0.422)
Na (0.953, 0.486, 0.754)
Na (0.547, 0.037, 0.421)
Na (0.963, 0.510, 0.087)
Na (0.038, 0.006, 0.255)
Na (0.037, 0.490, 0.587)
Co (0.148, 0.834, 0.683)
Co (0.883, 0.699, 0.179)
Co (0.657, 0.329, 0.650)
Co (0.381, 0.173, 0.209)
Co (0.329, 0.672, 0.817)
Co (0.685, 0.852, 0.016)
Co (0.166, 0.315, 0.349)
Co (0.699, 0.816, 0.346)
Co (0.619, 0.827, 0.709)
Co (0.208, 0.381, 0.042)
Co (0.792, 0.619, 0.542)
Co (0.816, 0.117, 0.512)
Co (0.184, 0.883, 0.012)
Co (0.834, 0.685, 0.849)
Co (0.672, 0.343, 0.984)
Co (0.343, 0.671, 0.150)
Co (0.315, 0.148, 0.516)
Co (0.173, 0.792, 0.375)
Co (0.328, 0.657, 0.484)
Co (0.301, 0.184, 0.846)
Co (0.827, 0.208, 0.875)
Co (0.852, 0.166, 0.183)
Co (0.671, 0.328, 0.317)
Co (0.117, 0.301, 0.679)
P (0.349, 0.132, 0.340)
P (0.837, 0.147, 0.313)
P (0.311, 0.163, 0.646)
P (0.212, 0.882, 0.144)
P (0.882, 0.670, 0.311)
P (0.868, 0.217, 0.006)
P (0.147, 0.311, 0.479)
P (0.163, 0.853, 0.813)
P (0.360, 0.673, 0.348)
P (0.783, 0.651, 0.673)
P (0.689, 0.837, 0.146)
P (0.673, 0.313, 0.514)
P (0.217, 0.349, 0.173)
P (0.687, 0.360, 0.181)
P (0.651, 0.868, 0.840)
P (0.640, 0.327, 0.848)
P (0.132, 0.783, 0.506)
P (0.327, 0.687, 0.014)
P (0.788, 0.118, 0.644)
P (0.853, 0.689, 0.979)
P (0.330, 0.212, 0.977)
P (0.670, 0.788, 0.477)
P (0.313, 0.640, 0.681)
P (0.118, 0.330, 0.811)
O (0.216, 0.720, 0.982)
O (0.678, 0.990, 0.884)
O (0.139, 0.972, 0.844)
O (0.990, 0.313, 0.050)
O (0.733, 0.673, 0.303)
O (0.316, 0.270, 0.919)
O (0.483, 0.833, 0.013)
O (0.239, 0.918, 0.756)
O (0.331, 0.550, 0.988)
O (0.730, 0.046, 0.586)
O (0.550, 0.219, 0.155)
O (0.058, 0.206, 0.168)
O (0.711, 0.704, 0.969)
O (0.195, 0.188, 0.013)
O (0.280, 0.496, 0.649)
O (0.784, 0.280, 0.482)
O (0.916, 0.300, 0.949)
O (0.635, 0.371, 0.241)
O (0.717, 0.204, 0.025)
O (0.321, 0.239, 0.589)
O (0.993, 0.289, 0.303)
O (0.371, 0.736, 0.408)
O (0.851, 0.058, 0.002)
O (0.084, 0.700, 0.449)
O (0.267, 0.327, 0.803)
O (0.332, 0.852, 0.172)
O (0.629, 0.264, 0.908)
O (0.350, 0.517, 0.346)
O (0.812, 0.006, 0.680)
O (0.668, 0.148, 0.672)
O (0.006, 0.195, 0.847)
O (0.322, 0.010, 0.384)
O (0.028, 0.167, 0.511)
O (0.736, 0.365, 0.574)
O (0.148, 0.480, 0.838)
O (0.761, 0.082, 0.256)
O (0.520, 0.668, 0.505)
O (0.732, 0.186, 0.347)
O (0.480, 0.332, 0.005)
O (0.264, 0.635, 0.074)
O (0.814, 0.546, 0.014)
O (0.270, 0.954, 0.086)
********

While demons had knowledge of fellacio, they rarely took oral enjoyment from a demoness. It was entirely too hazardous. The possibility of drawing back a bloody stump was too high, so one never risked it with a highly favored appendage. This was one reason why some male youkai took women as lovers, but Sesshoumaru refused to sully his cock with any human female orifice.

At least that would have, and should have, been his rational thought. The reality was he couldn't tear himself away. He watched as she swirled her cherry-flavored tongue around the tip of the Popsicle before sliding it in, then out of her hot mouth. Changing tactics, she began flicking it gently down the sides. Her teeth flashed white as she began to delicately nibble along the edges, first up, then down.

The dog demon felt the pain of his engorgement grow acute. He doubted he had ever been this hard in his life. As his heartbeat increased, the ache in his cock throbbed with every pump and his balls constricted, demanding he do something about releasing the seed backlogged there. His breathing became ragged as he fought his mounting need.

His attention was locked solely onto her lips, mouth and tongue.

The sweet treat was much smaller now; she was once again stroking it with long pulls. She encased it into her warm cavity once more, and with eyes shut in obvious enjoyment, she closed her teeth over the wooden stick and pulled one last time. The syrupy ice melted and disappeared down her throat in one big swallow.

It was more than his body and soul could take. He felt his balls tighten and squeeze as if in a ghostly grip. His felt his cock, unbidden and untouched, convulse and spasm wildly. A copious load of cum erupted from the sensitive tip in long sticky spurts, coating his fundoshi, soaking it and soiling his hakamas.

The force of his orgasm drove the strength from his legs and he had to lean against a tree before sinking to the ground. Black spots danced at the edges of his vision and he fought to regain control over his breathing. After several minutes, his mind cleared.

He was angry now, but the object of his ire, and desire, was nowhere to be seen. Having finished her delicious repast, and oblivious to wreaking havoc, she simply picked up her pack and left.

Not wishing to embarrass himself further should his current condition be sensed and discovered, he summoned his vapor to his feet. He would deal with the miko later; right now he was badly in need of a change of clothing.

A/N: I don't own Popsicle but I sure would like to have one right about now. Thanks for reading!